What to do
Work out how many lines further down have the word "in" in them; a number is enough.
Material
- - -
Density functional theory data (PBEsol) for a geometry-optimized Te2Pt2Pb structure.

Computed properties:
raw total energy: -4.971 eV/atom
energy relative to the elements, uncorrected: 0.0249 eV/atom
relative energy among the computed polymorphs: 0.111 eV/atom
ρ: 12.14 g/cm3
spin magnetization: 0.00 μB/cell
density of states at the Fermi level: 0.619 states/eV per atom

Lattice parameters (Å, degrees): 4.5953 4.5953 6.4079 111.01 111.01 90.00
Last column: nearest neighbours and their distance in Å.
Fractional coordinates of all 5 atoms:
Pb 0.0000 0.0000 0.0000  8 Pt 3.50-3.51, 8 Te 3.59
Te 0.2500 0.7500 0.5000  4 Pt 2.72
Te 0.7500 0.2500 0.5000  4 Pt 2.72
Pt 0.3810 0.3810 0.7621  1 Pt 2.63, 4 Te 2.72
Pt 0.6190 0.6190 0.2379  1 Pt 2.63, 4 Te 2.72
- - -
Outcome
1